_Wanted_
It remains to filter the contents below: keep the lines with the word "the".
_Material_
-- begin --
# 1
Material: Li2CrO3
Method: DFT, PBE+U
State: optimized geometry

**Calculated volume**: 55 Å³/cell
**Energy relative to the lowest polymorph listed for this composition**: 0.095 eV/atom
**Formation energy from the elements**: -2.154 eV/atom
**Space-group type**: Cmmm, No. 65
**E**: -6.1960 eV/atom

POSCAR file:
```
Li2CrO3
1.0
1.970 -4.728 0.000
1.970 4.728 0.000
0.000 0.000 2.964
Li Cr O
2 1 3
direct
0.154 0.846 0.000 Li
0.846 0.154 0.000 Li
0.500 0.500 0.500 Cr
0.000 0.000 0.500 O
0.365 0.635 0.000 O
0.635 0.365 0.000 O
```

***

# 2
Material: Li3Cr5O8
Method: DFT, PBE+U
State: optimized geometry

**Calculated volume**: 154 Å³/cell
**Energy relative to the lowest polymorph listed for this composition**: 0.046 eV/atom
**Formation energy from the elements**: -2.185 eV/atom
**Space-group type**: R-3m, No. 166
**E**: -7.0653 eV/atom

POSCAR file:
```
Li3Cr5O8
1.0
3.015 1.741 4.894
-3.015 1.741 4.894
0.000 -3.482 4.894
Li Cr O
3 5 8
direct
0.000 0.500 0.500 Li
0.500 0.000 0.500 Li
0.500 0.500 0.000 Li
0.000 0.000 0.000 Cr
0.000 0.000 0.500 Cr
0.000 0.500 0.000 Cr
0.500 0.000 0.000 Cr
0.500 0.500 0.500 Cr
0.235 0.752 0.752 O
0.241 0.241 0.241 O
0.248 0.248 0.765 O
0.248 0.765 0.248 O
0.752 0.235 0.752 O
0.752 0.752 0.235 O
0.759 0.759 0.759 O
0.765 0.248 0.248 O
```

***

# 3
Material: Li3CrO4
Method: DFT, PBE+U
State: optimized geometry

**Calculated volume**: 275 Å³/cell
**Energy relative to the lowest polymorph listed for this composition**: 0.075 eV/atom
**Formation energy from the elements**: -2.105 eV/atom
**Space-group type**: C2/c, No. 15
**E**: -5.9082 eV/atom

POSCAR file:
```
Li3CrO4
1.0
4.096 -4.106 0.000
4.096 4.106 0.000
-3.907 0.000 8.179
Li Cr O
12 4 16
direct
0.061 0.830 0.876 Li
0.062 0.319 0.881 Li
0.170 0.939 0.624 Li
0.195 0.441 0.633 Li
0.319 0.062 0.381 Li
0.441 0.195 0.133 Li
0.559 0.805 0.867 Li
0.681 0.938 0.619 Li
0.805 0.559 0.367 Li
0.830 0.061 0.376 Li
0.938 0.681 0.119 Li
0.939 0.170 0.124 Li
0.284 0.561 0.376 Cr
0.439 0.716 0.124 Cr
0.561 0.284 0.876 Cr
0.716 0.439 0.624 Cr
0.079 0.329 0.367 O
0.085 0.795 0.382 O
0.205 0.915 0.118 O
0.220 0.460 0.145 O
0.329 0.079 0.867 O
0.332 0.556 0.895 O
0.444 0.668 0.605 O
0.460 0.220 0.645 O
0.540 0.780 0.355 O
0.556 0.332 0.395 O
0.668 0.444 0.105 O
0.671 0.921 0.133 O
0.780 0.540 0.855 O
0.795 0.085 0.882 O
0.915 0.205 0.618 O
0.921 0.671 0.633 O
```

***

# 4
Material: LiCrO3
Method: DFT, PBE+U
State: optimized geometry

**Calculated volume**: 50 Å³/cell
**Formation energy from the elements**: -1.667 eV/atom
**Space-group type**: Pm-3m, No. 221
**E**: -6.1359 eV/atom

POSCAR file:
```
LiCrO3
1.0
3.679 0.000 0.000
0.000 3.679 0.000
0.000 0.000 3.679
Li Cr O
1 1 3
direct
0.000 0.000 0.000 Li
0.500 0.500 0.500 Cr
0.000 0.500 0.500 O
0.500 0.000 0.500 O
0.500 0.500 0.000 O
```

***

# 5
Material: Li3CrO4
Method: DFT, PBE+U
State: optimized geometry

**Calculated volume**: 188 Å³/cell
**Energy relative to the lowest polymorph listed for this composition**: 0.058 eV/atom
**Formation energy from the elements**: -2.122 eV/atom
**Space-group type**: P1, No. 1
**E**: -5.9249 eV/atom

POSCAR file:
```
Li3CrO4
1.0
5.151 0.000 0.000
2.363 4.896 0.000
2.440 -0.107 7.435
Li Cr O
6 2 8
direct
0.000 0.000 0.000 Li
0.012 0.526 0.168 Li
0.341 0.476 0.416 Li
0.585 0.904 0.799 Li
0.777 0.903 0.460 Li
0.827 0.407 0.537 Li
0.218 0.486 0.767 Cr
0.397 0.924 0.231 Cr
0.083 0.322 0.947 O
0.121 0.824 0.229 O
0.210 0.244 0.330 O
0.313 0.726 0.812 O
0.540 0.236 0.620 O
0.609 0.681 0.361 O
0.652 0.925 0.031 O
0.968 0.634 0.632 O
```

***

# 6
Material: Li3Cr5O8
Method: DFT, PBE+U
State: optimized geometry

**Calculated volume**: 316 Å³/cell
**Energy relative to the lowest polymorph listed for this composition**: 0.002 eV/atom
**Formation energy from the elements**: -2.230 eV/atom
**Space-group type**: P-1, No. 2
**E**: -7.1101 eV/atom

POSCAR file:
```
Li3Cr5O8
1.0
6.060 0.000 0.000
3.008 5.276 0.000
3.001 -1.516 9.888
Li Cr O
6 10 16
direct
0.000 0.000 0.000 Li
0.000 0.500 0.500 Li
-- stop --
_Written answer_
**Energy relative to the lowest polymorph listed for this composition**: 0.095 eV/atom
**Formation energy from the elements**: -2.154 eV/atom
**Energy relative to the lowest polymorph listed for this composition**: 0.046 eV/atom
**Formation energy from the elements**: -2.185 eV/atom
**Energy relative to the lowest polymorph listed for this composition**: 0.075 eV/atom
**Formation energy from the elements**: -2.105 eV/atom
**Formation energy from the elements**: -1.667 eV/atom
**Energy relative to the lowest polymorph listed for this composition**: 0.058 eV/atom
**Formation energy from the elements**: -2.122 eV/atom
**Energy relative to the lowest polymorph listed for this composition**: 0.002 eV/atom
**Formation energy from the elements**: -2.230 eV/atom